Selecting the Best Chickens for Your Coop
Before bringing home new feathered friends, it’s important to determine the best chicken breed for your goals, climate and situation. These three steps brought to you by Home Fresh® Chicken and Poultry Feeds will help you decide the best breed for your coop and how to keep them healthy.
Step 1: What are you raising chickens for?
The first step in finding the right chicken breed(s) is identifying your purpose for raising chickens. Are you raising them for eggs, meat, enjoyment or show? This will have a large impact on your choice of bird as some breeds can fulfill multiple needs, but most have their primary use in which they excel in.
_Misplaced calculated crystals_
-- begin --
Tb8DyHo2, relaxed, DFT GGA-PBE; DFT formation energy = 155 meV/atom; energy above the most stable polymorph in this dataset = 0.138 eV per atom; VASP energy = -4.46 eV/atom
1.0
5.614 1.707 0.000
2.732 8.568 0.000
1.366 4.284 8.131
Tb Ho Dy
8 2 1
direct
0.293 0.432 0.000
0.500 0.205 0.590
0.816 0.098 0.239
0.184 0.902 0.761
0.816 0.337 0.761
0.500 0.795 0.410
0.184 0.663 0.239
0.707 0.568 0.000
0.000 0.690 0.619
0.000 0.310 0.381
0.500 0.000 0.000

=====

Tb6Dy4Ho, relaxed, DFT GGA-PBE; DFT formation energy = 128 meV/atom; energy above the most stable polymorph in this dataset = 0.000 eV per atom; VASP energy = -4.49 eV/atom
1.0
-1.471 -1.503 -5.317
4.315 -2.423 2.566
-15.580 -17.841 9.353
Tb Dy Ho
12 8 2
direct
0.869 0.737 0.682
0.131 0.263 0.182
0.464 0.929 0.250
0.199 0.398 0.604
0.801 0.602 0.396
0.536 0.071 0.750
0.500 0.000 0.000
0.131 0.263 0.318
0.801 0.602 0.104
0.199 0.398 0.896
0.869 0.737 0.818
0.500 0.000 0.500
0.848 0.696 0.543
0.460 0.921 0.122
0.848 0.696 0.957
0.460 0.921 0.378
0.152 0.304 0.043
0.540 0.079 0.622
0.152 0.304 0.457
0.540 0.079 0.878
0.200 0.400 0.750
0.800 0.600 0.250

=====

TbDy2Ho5, relaxed, DFT GGA-PBE; DFT formation energy = 16 meV/atom; energy above the most stable polymorph in this dataset = 0.000 eV per atom; VASP energy = -4.57 eV/atom
1.0
4.980 0.000 0.000
0.000 7.052 0.000
0.000 0.000 14.104
Dy Ho Tb
4 10 2
direct
0.500 0.750 0.875
0.500 0.250 0.125
0.500 0.750 0.375
0.500 0.250 0.625
0.000 0.500 0.500
0.000 0.001 0.250
0.000 0.000 0.000
0.000 0.999 0.750
0.500 0.749 0.625
0.500 0.251 0.375
0.000 0.501 0.250
0.500 0.249 0.875
0.000 0.499 0.750
0.500 0.751 0.125
0.000 0.500 0.000
0.000 0.000 0.500

=====

Tb2DyHo3, relaxed, DFT GGA-PBE; DFT formation energy = 18 meV/atom; energy above the most stable polymorph in this dataset = 0.000 eV per atom; VASP energy = -4.58 eV/atom
1.0
-2.630 -2.366 4.975
1.088 -6.509 -2.521
7.142 3.002 5.231
Ho Tb Dy
6 4 2
direct
0.083 0.291 0.333
0.417 0.958 0.667
0.250 0.375 0.000
0.583 0.042 0.333
0.917 0.709 0.667
0.750 0.625 0.000
0.417 0.458 0.667
0.917 0.208 0.667
0.583 0.542 0.333
0.083 0.792 0.333
0.250 0.875 0.000
0.750 0.125 0.000

=====

Tb4DyHo4, relaxed, DFT GGA-PBE; DFT formation energy = 0 meV/atom; energy above the most stable polymorph in this dataset = 0.000 eV per atom; VASP energy = -4.60 eV/atom
1.0
1.522 7.004 -5.098
-7.344 -6.190 3.221
3.454 3.786 11.227
Tb Dy Ho
8 2 8
direct
0.834 0.500 0.639
0.167 0.833 0.972
0.833 0.166 0.528
0.501 0.834 0.695
0.167 0.834 0.472
0.166 0.500 0.361
0.499 0.166 0.305
0.833 0.167 0.028
0.500 0.500 0.250
0.500 0.500 0.750
0.166 0.167 0.416
0.832 0.833 0.083
0.499 0.832 0.194
0.834 0.833 0.584
0.167 0.500 0.862
0.501 0.168 0.806
0.833 0.500 0.138
0.168 0.167 0.917

=====

Tb6Dy12Ho, relaxed, DFT GGA-PBE; DFT formation energy = 457 meV/atom; energy above the most stable polymorph in this dataset = 0.302 eV per atom; VASP energy = -4.15 eV/atom
1.0
8.986 -1.102 -1.960
-2.185 8.786 -1.960
-0.975 -1.102 9.145
Dy Tb Ho
12 6 1
-- stop --
- Egg Layers: Several factors can influence the number of eggs a chicken lays, but one of the most significant is the breed. Chicken breeds that are known to be dependable egg layers include Australorps, Austra Whites, Black Stars, Golden Comets, ISA Browns, Lohmann Browns, Plymouth Rocks, Rhode Island Reds and White Leghorns.
- Meat Chickens: Popular breeds raised for meat are ones that are efficient, meaning they grow very quickly. Many hatcheries’ top-selling meat bird is the Cornish Cross, but other meat breeds include Big Red Broilers, the Dark Cornish, Delaware Broilers, Ginger Broilers, the New Hampshire and Plymouth Rocks.
- Dual Purpose Chickens: These chickens are ones that are both productive at egg laying and produce a nice table bird. Popular dual purpose chicken breeds include Australorps, Brahmas, Delawares, Dominiques, Jersey Giants, Orpingtons, Plymouth Rocks, Rhode Island Reds and the Sussex.
- Good Pet Chicken Breeds: Chickens can make great pets that desire to be with their keepers. If you’re looking to add some docile pets, breeds that are known to be extremely affection with friendly personalities include Australorps, Cochins, Orpingtons, Silkies and Speckled Sussexes.
- Show Chicken Breeds: Those looking to show chickens, or who have children wanting to show may appreciate Bantam chicken breeds. These breeds are smaller, making them easier to handle, transport and wash. In addition, breeds that are clean legged, meaning they don’t have feathers on their legs, such as Leghorns, Orpingtons or Rose Combs are good show chickens as they are much easier to keep clean.
Step 2: How will your climate affect chickens?
Choosing the type of chicken you want will help you narrow down breeds, but there are still other factors to consider, including your climate. Different breeds are better for different climates. For example, if you live in an area with very cold winters, you will either need a cold hardy bird, or the ability to provide them with a shelter that is heated and out of the elements.
- Cold Hardy Chicken Breeds: Some features you will notice in cold hardy chicken breeds include small combs (less susceptible to frostbite), heavy feathering (extra layering) and larger in size (more body fat to protect them). Chicken breeds that can thrive in colder climates include the Ameraucana, Australorps, the Blue Favuacana, Bountiful Blue Egg Layers, Brahmas, Buckeyes, Cochins, Dominiques, Orpingtons, Rhode Island Reds and the Sussex.
- Heat Tolerant Chicken Breeds: Chicken breeds that are heat tolerant will often have a large comb and wattles, which act as an air conditioner as warm blood is pumped to those parts and then dispersed. Breeds that are able to survive in warmer climates include Delawares, Leghorns, the Minorca, New Hampshire Reds and Plymouth Reds.
Identifying your purpose for raising chickens and recognizing your current climate is important in helping you choose the right chicken breed for your situation. Raising the right chickens will ensure you are able to provide the proper care they need, while also meeting your own goals in chicken keeping.
Step 3: What is the best chicken feed?
After you determine your purpose and select the right breed, you will want to choose the right chicken feed. Home Fresh provides a broad array of poultry feeds for various uses and all stages of life. Read our blog, Choosing the Right Home Fresh Chicken Feed to select the feed that will help your flock members grow and thrive.
With complete and balanced nutrition, your flock will have what they need to stay healthy and happy. Our nutritionists have precisely formulated each of our poultry feeds with just the right balance of vitamins, minerals and important nutrients. Get a $5 coupon on your next 40 lb. or 50 lb. bag of Home Fresh Poultry Feeds! Don’t forget to follow us on social media for information on our latest products, tips and testimonials.